_File_
1.
Here is CsTmTe after structural relaxation from the Alexandria database. Energies are from PBE.

```
CsTmTe
1.0
2.439 1.408 14.449
-2.439 1.408 14.449
0.000 -2.817 14.449
Cs Tm Te
2 2 2
Direct
0.111 0.111 0.111
0.889 0.889 0.889
0.310 0.310 0.310
0.690 0.690 0.690
0.382 0.382 0.382
0.618 0.618 0.618
```

Output
The total DFT energy (no corrections) comes out at -3.4558 eV per atom. The calculation puts the uncorrected formation energy at -634 meV per atom.

---

2.
Here is CsTm6Te8 after structural relaxation from the Alexandria database. Energies are from PBE.

```
CsTm6Te8
1.0
5.935 3.426 4.821
-5.935 3.426 4.821
0.000 -6.853 4.821
Cs Tm Te
1 6 8
Direct
0.000 0.000 0.000
0.205 0.401 0.570
0.401 0.570 0.205
0.430 0.795 0.599
0.570 0.205 0.401
0.599 0.430 0.795
0.795 0.599 0.430
0.132 0.721 0.399
0.253 0.253 0.253
0.279 0.601 0.868
0.399 0.132 0.721
0.601 0.868 0.279
0.721 0.399 0.132
0.747 0.747 0.747
0.868 0.279 0.601
```

Output
The total DFT energy (no corrections) comes out at -4.7485 eV per atom. The calculation puts the uncorrected formation energy at -1227 meV per atom. The offset from the most stable computed form is 83 meV/atom.

---

3.
Here is CsYTmTe3 after structural relaxation from the Alexandria database. Energies are from PBE.

```
CsYTmTe3
1.0
9.667 0.000 0.000
0.000 4.922 0.000
-4.565 0.000 10.312
Cs Y Tm Te
2 2 2 6
Direct
0.011 0.250 0.248
0.989 0.750 0.752
0.452 0.250 0.118
0.548 0.750 0.882
0.497 0.250 0.631
0.503 0.750 0.369
0.237 0.750 0.123
0.323 0.750 0.538
0.330 0.250 0.824
0.670 0.750 0.176
0.677 0.250 0.462
0.763 0.250 0.877
```

Output
The total DFT energy (no corrections) comes out at -4.7716 eV per atom. The calculation puts the uncorrected formation energy at -1236 meV per atom.

---

4.
Here is Cs3YTm3Te8 after structural relaxation from the Alexandria database. Energies are from PBE.

```
Cs3YTm3Te8
1.0
4.388 2.533 9.207
-4.388 2.533 9.207
0.000 -5.066 9.207
Cs Y Tm Te
3 1 3 8
Direct
0.000 0.500 0.500
0.500 0.000 0.500
0.500 0.500 0.000
0.500 0.500 0.500
0.000 0.000 0.500
0.000 0.500 0.000
0.500 0.000 0.000
0.224 0.733 0.733
0.229 0.229 0.229
0.267 0.267 0.776
0.267 0.776 0.267
0.733 0.224 0.733
0.733 0.733 0.224
0.771 0.771 0.771
0.776 0.267 0.267
```

Output
The total DFT energy (no corrections) comes out at -4.4843 eV per atom. The calculation puts the uncorrected formation energy at -1313 meV per atom.

---

5.
Here is Cs3YTm2Te6 after structural relaxation from the Alexandria database. Energies are from PBE.

```
Cs3YTm2Te6
1.0
3.919 -6.789 0.000
3.919 6.789 0.000
-2.612 0.000 8.910
Cs Y Tm Te
3 1 2 6
Direct
0.000 0.000 0.000
0.334 0.666 0.000
0.666 0.334 0.000
0.500 0.500 0.500
0.167 0.833 0.500
0.833 0.167 0.500
0.101 0.437 0.312
0.226 0.226 0.688
0.437 0.101 0.312
0.563 0.899 0.688
0.774 0.774 0.312
0.899 0.563 0.688
```

Output
The total DFT energy (no corrections) comes out at -4.4408 eV per atom. The calculation puts the uncorrected formation energy at -1373 meV per atom.

---

6.
Here is Cs3Y2TmTe6 after structural relaxation from the Alexandria database. Energies are from PBE.

```
Cs3Y2TmTe6
1.0
3.932 -6.811 0.000
3.932 6.811 0.000
-2.622 0.000 8.910
Cs Y Tm Te
3 2 1 6
Direct
0.000 0.000 0.000
0.332 0.668 0.000
0.668 0.332 0.000
0.167 0.833 0.500
0.833 0.167 0.500
0.500 0.500 0.500
0.107 0.437 0.311
0.233 0.233 0.689
0.437 0.107 0.311
0.563 0.893 0.689
0.767 0.767 0.311
0.893 0.563 0.689
```

Output
The total DFT energy (no corrections) comes out at -4.6217 eV per atom. The calculation puts the uncorrected formation energy at -1388 meV per atom.

---

7.
Here is Cs2TmZn2Te4 after structural relaxation from the Alexandria database. Energies are from PBE.

```
Cs2TmZn2Te4
1.0
8.256 -2.400 0.000
8.256 2.400 0.000
-2.747 0.000 8.283
Cs Tm Zn Te
2 1 2 4
Direct
0.134 0.134 0.069
0.866 0.866 0.931
0.000 0.000 0.500
0.328 0.328 0.504
0.672 0.672 0.496
0.197 0.197 0.654
0.488 0.488 0.725
0.512 0.512 0.275
0.803 0.803 0.346
```

Output

_Exercise_
What is needed: set down the part of the material earlier on that starts with the line with "10.312" and stops after the one with "0.668 0.332".

_Solution_
-4.565 0.000 10.312
Cs Y Tm Te
2 2 2 6
Direct
0.011 0.250 0.248
0.989 0.750 0.752
0.452 0.250 0.118
0.548 0.750 0.882
0.497 0.250 0.631
0.503 0.750 0.369
0.237 0.750 0.123
0.323 0.750 0.538
0.330 0.250 0.824
0.670 0.750 0.176
0.677 0.250 0.462
0.763 0.250 0.877
```

Output
The total DFT energy (no corrections) comes out at -4.7716 eV per atom. The calculation puts the uncorrected formation energy at -1236 meV per atom.

---

4.
Here is Cs3YTm3Te8 after structural relaxation from the Alexandria database. Energies are from PBE.

```
Cs3YTm3Te8
1.0
4.388 2.533 9.207
-4.388 2.533 9.207
0.000 -5.066 9.207
Cs Y Tm Te
3 1 3 8
Direct
0.000 0.500 0.500
0.500 0.000 0.500
0.500 0.500 0.000
0.500 0.500 0.500
0.000 0.000 0.500
0.000 0.500 0.000
0.500 0.000 0.000
0.224 0.733 0.733
0.229 0.229 0.229
0.267 0.267 0.776
0.267 0.776 0.267
0.733 0.224 0.733
0.733 0.733 0.224
0.771 0.771 0.771
0.776 0.267 0.267
```

Output
The total DFT energy (no corrections) comes out at -4.4843 eV per atom. The calculation puts the uncorrected formation energy at -1313 meV per atom.

---

5.
Here is Cs3YTm2Te6 after structural relaxation from the Alexandria database. Energies are from PBE.

```
Cs3YTm2Te6
1.0
3.919 -6.789 0.000
3.919 6.789 0.000
-2.612 0.000 8.910
Cs Y Tm Te
3 1 2 6
Direct
0.000 0.000 0.000
0.334 0.666 0.000
0.666 0.334 0.000
0.500 0.500 0.500
0.167 0.833 0.500
0.833 0.167 0.500
0.101 0.437 0.312
0.226 0.226 0.688
0.437 0.101 0.312
0.563 0.899 0.688
0.774 0.774 0.312
0.899 0.563 0.688
```

Output
The total DFT energy (no corrections) comes out at -4.4408 eV per atom. The calculation puts the uncorrected formation energy at -1373 meV per atom.

---

6.
Here is Cs3Y2TmTe6 after structural relaxation from the Alexandria database. Energies are from PBE.

```
Cs3Y2TmTe6
1.0
3.932 -6.811 0.000
3.932 6.811 0.000
-2.622 0.000 8.910
Cs Y Tm Te
3 2 1 6
Direct
0.000 0.000 0.000
0.332 0.668 0.000
0.668 0.332 0.000